Next, copy everything further down without additions.
-- begin --
{"formula": "C16H40F4K3N2O16S4", "method": "ωB97M-V/def2-TZVPD", "elements": ["K", "K", "K", "S", "S", "S", "S", "F", "F", "F", "F", "O", "O", "O", "O", "O", "O", "O", "O", "O", "O", "O", "O", "O", "O", "O", "O", "N", "N", "C", "C", "C", "C", "C", "C", "C", "C", "C", "C", "C", "C", "C", "C", "C", "C", "H", "H", "H", "H", "H", "H", "H", "H", "H", "H", "H", "H", "H", "H", "H", "H", "H", "H", "H", "H", "H", "H", "H", "H", "H", "H", "H", "H", "H", "H", "H", "H", "H", "H", "H", "H", "H", "H", "H", "H"], "positions_angstrom": [[2.768, -0.692, -0.714], [0.360, -4.563, -0.650], [-4.747, -0.881, -2.009], [-3.116, -4.565, -2.357], [-0.395, -1.175, 1.226], [-2.855, -6.605, -1.410], [-0.583, -0.758, -1.041], [0.475, -2.177, 2.166], [-0.020, -1.633, -2.306], [-1.802, -7.634, -0.744], [-2.149, -3.541, -3.097], [-3.243, -7.627, -2.326], [2.706, 2.140, -1.094], [3.399, -5.828, 2.144], [-3.730, -6.323, -0.273], [-3.826, 3.876, 4.056], [-3.669, -3.689, -1.344], [0.135, 0.458, -1.387], [-4.709, 0.261, 4.644], [0.556, -5.566, 2.184], [-1.732, -1.466, 1.680], [1.081, 3.928, -4.087], [-1.994, -0.760, -1.158], [0.149, 0.143, 1.615], [4.309, 0.945, -3.278], [-4.037, -5.016, -3.359], [2.027, 6.973, -3.899], [0.225, -1.773, 0.081], [-1.763, -5.581, -1.878], [-0.879, -5.270, 2.272], [-4.200, -1.025, 4.184], [2.695, 6.384, -2.801], [-4.685, 2.747, 4.213], [2.567, -6.352, 3.210], [3.832, 0.459, -4.613], [-3.918, 1.377, 4.124], [4.153, 2.371, -3.094], [0.505, 5.060, -4.800], [0.393, 3.786, -2.834], [1.206, -5.605, 3.386], [3.976, 2.640, -1.609], [2.489, 2.588, 0.244], [0.677, 6.483, -4.155], [3.896, -4.463, 2.335], [-4.414, 5.104, 4.325], [-3.125, -1.147, 4.320], [1.471, 2.318, 0.528], [-1.387, -5.261, 1.308], [0.659, -6.168, 4.143], [3.051, -3.777, 2.297], [0.067, 6.565, -3.256], [1.442, -4.602, 3.741], [-4.187, -0.938, 3.097], [2.093, 6.223, -1.907], [3.134, 2.490, 1.117], [-4.687, -1.984, 4.361], [2.801, 0.801, -4.703], [-4.912, 2.853, 5.274], [0.138, 7.236, -4.730], [3.058, 5.414, -3.140], [4.823, 2.375, -0.976], [2.332, 3.657, 0.101], [-5.496, 2.784, 3.486], [3.910, 3.728, -1.596], [-5.461, 5.091, 4.024], [5.095, 2.824, -3.402], [-0.553, 4.825, -4.920], [0.928, 5.007, -5.803], [0.927, 4.363, -2.080], [-3.832, 5.942, 3.940], [3.514, 7.088, -2.657], [3.835, -0.618, -4.779], [3.219, -6.451, 4.078], [-4.499, 5.273, 5.399], [2.239, -7.376, 3.029], [4.693, -4.280, 1.614], [4.224, -4.258, 3.355], [3.293, 2.837, -3.575], [0.310, 2.782, -2.417], [-1.417, -6.127, 2.676], [-0.620, 4.188, -2.825], [4.455, 0.866, -5.409], [-3.572, 1.240, 3.099], [-1.148, -4.369, 2.824], [-2.932, 1.434, 4.586]], "atomic_forces_ev_per_a": [[0.1, 0.7, -0.2], [0.1, -0.3, 0.4], [0.3, -0.5, 0.2], [0.9, 3.9, -1.3], [-1.3, 3.5, 14.7], [0.5, -9.4, 4.2], [3.6, 0.7, -5.7], [-0.1, 0.1, 0.7], [-0.8, -0.4, 0.8], [1.5, 1.0, 1.6], [0.2, 0.1, -0.5], [-1.8, 1.8, -1.8], [2.1, -1.3, 0.4], [0.0, 0.5, 0.2], [1.1, 1.1, -2.0], [1.4, -1.1, -1.5], [0.5, -0.6, -0.1], [-0.9, -1.2, 1.8], [0.6, 0.0, -0.2], [-2.3, 0.6, -2.1], [0.7, 0.3, -1.6], [-1.2, 0.6, 0.5], [-0.3, -0.5, 0.7], [-1.2, -1.9, -1.5], [-1.0, -1.0, -1.5], [1.1, -0.3, 0.8], [-2.2, -0.5, -0.6], [0.2, -0.9, -9.8], [-4.1, 2.8, -1.0], [0.2, -1.1, 0.2], [1.0, 1.5, -2.0], [0.3, 0.0, -1.1], [1.2, -0.4, 1.5], [-0.3, 0.4, -0.6], [0.1, 1.3, 1.0], [0.1, 0.1, -0.4], [0.3, -1.3, 1.1], [0.8, 0.0, 0.1], [0.4, 0.4, 0.7], [2.3, 0.0, 1.4], [-0.9, 0.8, -0.3], [-2.2, 2.1, -0.7], [0.4, -0.3, 0.4], [-1.4, -1.3, 0.8], [-1.0, 0.0, 1.0], [0.1, 0.1, 1.0], [0.1, -0.8, 0.0], [0.7, 0.4, -0.6], [-0.2, 0.1, 0.2], [-0.1, 0.3, -0.8], [0.3, -0.5, 0.7], [-0.4, 0.3, 0.3], [-0.3, -0.2, -0.5], [-0.2, 0.4, 0.1], [0.8, -0.8, -0.6], [-0.7, 0.8, 1.0], [0.0, 0.1, -0.3], [-1.4, -0.5, 0.0], [0.5, -0.1, -0.8], [0.3, -0.2, 0.3], [0.0, -0.5, 0.0], [0.4, 0.5, 0.5], [-0.3, 0.0, 0.4], [0.1, 0.4, 0.4], [-0.1, 0.4, -0.7], [-0.1, 0.4, -0.2], [-0.3, 0.4, 0.1], [0.3, 0.2, 0.1], [0.1, 0.1, 0.2], [-0.1, -0.3, -0.4], [0.1, -0.4, 0.6], [0.3, -0.1, 1.0], [-0.5, 0.6, 0.6], [0.2, 0.0, 0.5], [0.6, -0.1, -0.9], [-0.3, -0.1, 0.1], [0.6, -0.5, 0.2], [-0.1, -0.4, -0.5], [0.4, -0.3, -0.7], [0.3, -0.1, 0.7], [-0.2, 0.1, -0.5], [0.0, 0.3, 0.1], [-0.7, -0.5, -0.6], [0.4, 0.1, 0.0], [-0.2, 0.2, 0.9]], "fmax_ev_per_a": 15.15, "e_lumo_ev": -3.62, "charge": 1, "homo_lumo_gap_ev": 7.68}
-- stop --
{"formula": "C16H40F4K3N2O16S4", "method": "ωB97M-V/def2-TZVPD", "elements": ["K", "K", "K", "S", "S", "S", "S", "F", "F", "F", "F", "O", "O", "O", "O", "O", "O", "O", "O", "O", "O", "O", "O", "O", "O", "O", "O", "N", "N", "C", "C", "C", "C", "C", "C", "C", "C", "C", "C", "C", "C", "C", "C", "C", "C", "H", "H", "H", "H", "H", "H", "H", "H", "H", "H", "H", "H", "H", "H", "H", "H", "H", "H", "H", "H", "H", "H", "H", "H", "H", "H", "H", "H", "H", "H", "H", "H", "H", "H", "H", "H", "H", "H", "H", "H"], "positions_angstrom": [[2.768, -0.692, -0.714], [0.360, -4.563, -0.650], [-4.747, -0.881, -2.009], [-3.116, -4.565, -2.357], [-0.395, -1.175, 1.226], [-2.855, -6.605, -1.410], [-0.583, -0.758, -1.041], [0.475, -2.177, 2.166], [-0.020, -1.633, -2.306], [-1.802, -7.634, -0.744], [-2.149, -3.541, -3.097], [-3.243, -7.627, -2.326], [2.706, 2.140, -1.094], [3.399, -5.828, 2.144], [-3.730, -6.323, -0.273], [-3.826, 3.876, 4.056], [-3.669, -3.689, -1.344], [0.135, 0.458, -1.387], [-4.709, 0.261, 4.644], [0.556, -5.566, 2.184], [-1.732, -1.466, 1.680], [1.081, 3.928, -4.087], [-1.994, -0.760, -1.158], [0.149, 0.143, 1.615], [4.309, 0.945, -3.278], [-4.037, -5.016, -3.359], [2.027, 6.973, -3.899], [0.225, -1.773, 0.081], [-1.763, -5.581, -1.878], [-0.879, -5.270, 2.272], [-4.200, -1.025, 4.184], [2.695, 6.384, -2.801], [-4.685, 2.747, 4.213], [2.567, -6.352, 3.210], [3.832, 0.459, -4.613], [-3.918, 1.377, 4.124], [4.153, 2.371, -3.094], [0.505, 5.060, -4.800], [0.393, 3.786, -2.834], [1.206, -5.605, 3.386], [3.976, 2.640, -1.609], [2.489, 2.588, 0.244], [0.677, 6.483, -4.155], [3.896, -4.463, 2.335], [-4.414, 5.104, 4.325], [-3.125, -1.147, 4.320], [1.471, 2.318, 0.528], [-1.387, -5.261, 1.308], [0.659, -6.168, 4.143], [3.051, -3.777, 2.297], [0.067, 6.565, -3.256], [1.442, -4.602, 3.741], [-4.187, -0.938, 3.097], [2.093, 6.223, -1.907], [3.134, 2.490, 1.117], [-4.687, -1.984, 4.361], [2.801, 0.801, -4.703], [-4.912, 2.853, 5.274], [0.138, 7.236, -4.730], [3.058, 5.414, -3.140], [4.823, 2.375, -0.976], [2.332, 3.657, 0.101], [-5.496, 2.784, 3.486], [3.910, 3.728, -1.596], [-5.461, 5.091, 4.024], [5.095, 2.824, -3.402], [-0.553, 4.825, -4.920], [0.928, 5.007, -5.803], [0.927, 4.363, -2.080], [-3.832, 5.942, 3.940], [3.514, 7.088, -2.657], [3.835, -0.618, -4.779], [3.219, -6.451, 4.078], [-4.499, 5.273, 5.399], [2.239, -7.376, 3.029], [4.693, -4.280, 1.614], [4.224, -4.258, 3.355], [3.293, 2.837, -3.575], [0.310, 2.782, -2.417], [-1.417, -6.127, 2.676], [-0.620, 4.188, -2.825], [4.455, 0.866, -5.409], [-3.572, 1.240, 3.099], [-1.148, -4.369, 2.824], [-2.932, 1.434, 4.586]], "atomic_forces_ev_per_a": [[0.1, 0.7, -0.2], [0.1, -0.3, 0.4], [0.3, -0.5, 0.2], [0.9, 3.9, -1.3], [-1.3, 3.5, 14.7], [0.5, -9.4, 4.2], [3.6, 0.7, -5.7], [-0.1, 0.1, 0.7], [-0.8, -0.4, 0.8], [1.5, 1.0, 1.6], [0.2, 0.1, -0.5], [-1.8, 1.8, -1.8], [2.1, -1.3, 0.4], [0.0, 0.5, 0.2], [1.1, 1.1, -2.0], [1.4, -1.1, -1.5], [0.5, -0.6, -0.1], [-0.9, -1.2, 1.8], [0.6, 0.0, -0.2], [-2.3, 0.6, -2.1], [0.7, 0.3, -1.6], [-1.2, 0.6, 0.5], [-0.3, -0.5, 0.7], [-1.2, -1.9, -1.5], [-1.0, -1.0, -1.5], [1.1, -0.3, 0.8], [-2.2, -0.5, -0.6], [0.2, -0.9, -9.8], [-4.1, 2.8, -1.0], [0.2, -1.1, 0.2], [1.0, 1.5, -2.0], [0.3, 0.0, -1.1], [1.2, -0.4, 1.5], [-0.3, 0.4, -0.6], [0.1, 1.3, 1.0], [0.1, 0.1, -0.4], [0.3, -1.3, 1.1], [0.8, 0.0, 0.1], [0.4, 0.4, 0.7], [2.3, 0.0, 1.4], [-0.9, 0.8, -0.3], [-2.2, 2.1, -0.7], [0.4, -0.3, 0.4], [-1.4, -1.3, 0.8], [-1.0, 0.0, 1.0], [0.1, 0.1, 1.0], [0.1, -0.8, 0.0], [0.7, 0.4, -0.6], [-0.2, 0.1, 0.2], [-0.1, 0.3, -0.8], [0.3, -0.5, 0.7], [-0.4, 0.3, 0.3], [-0.3, -0.2, -0.5], [-0.2, 0.4, 0.1], [0.8, -0.8, -0.6], [-0.7, 0.8, 1.0], [0.0, 0.1, -0.3], [-1.4, -0.5, 0.0], [0.5, -0.1, -0.8], [0.3, -0.2, 0.3], [0.0, -0.5, 0.0], [0.4, 0.5, 0.5], [-0.3, 0.0, 0.4], [0.1, 0.4, 0.4], [-0.1, 0.4, -0.7], [-0.1, 0.4, -0.2], [-0.3, 0.4, 0.1], [0.3, 0.2, 0.1], [0.1, 0.1, 0.2], [-0.1, -0.3, -0.4], [0.1, -0.4, 0.6], [0.3, -0.1, 1.0], [-0.5, 0.6, 0.6], [0.2, 0.0, 0.5], [0.6, -0.1, -0.9], [-0.3, -0.1, 0.1], [0.6, -0.5, 0.2], [-0.1, -0.4, -0.5], [0.4, -0.3, -0.7], [0.3, -0.1, 0.7], [-0.2, 0.1, -0.5], [0.0, 0.3, 0.1], [-0.7, -0.5, -0.6], [0.4, 0.1, 0.0], [-0.2, 0.2, 0.9]], "fmax_ev_per_a": 15.15, "e_lumo_ev": -3.62, "charge": 1, "homo_lumo_gap_ev": 7.68}